Maternity - Newborn, part 6: Preterm and Postmature Infants, Meconium Aspiration Syndrome
Updated: Meris Shuwarger BSN, RN, CEN, TCRNConsiderations related to preterm infants and postmature infants. The pathophysiology, risk factors, signs and symptoms, complications, and nursing care of meconium aspiration syndrome.
Full Transcript: Maternity - Newborn, part 6: Preterm and Postmature Infants, Meconium Aspiration Syndrome
Full Transcript: Maternity - Newborn, part 6: Preterm and Postmature Infants, Meconium Aspiration Syndrome
Hi, I'm Meris with Level Up RN. And in this video, I'm going to be talking to you about premature infants, postmature infants, and meconium aspiration syndrome. I'm going to be following along using our maternity flashcards. These are available on our website, If you have a set of your own, I would encourage you to follow along with me. And if you don't have one yet, go visit and grab a set for yourself. Okay. Let's get started. Okay. So first up, we are talking about preterm infants. That is going to be one who is born before 37-weeks gestational age. So we have some risk factors here. Maternal gestational hypertension is going to be one. Any time that we have hypertension in mom, we are not going to be getting appropriate blood flow to the baby, so that could put us at risk for prematurity. Cervical incompetence, which again, I've said it before, I'll say it again, what a rude term. But this is where the cervix does not do its job of staying closed high and tight. Right? It is not able to keep the baby inside the uterus. We're going to have early dilation and cervical incompetence. Then we have amnionitis so infection or inflammation of the amnion. Prior preterm delivery, so if I have had a preterm baby before, I'm automatically at higher risk for preterm delivery in the future. Uterine abnormalities, so if I have some sort of structural abnormality, that could put me at risk. PPROM which we've talked about in a previous video, but that's going to be premature rupture of membranes, and it's going to be preterm premature rupture of membranes. And placenta previa. All of those are risk factors.
Now, signs and symptoms, we have a lot here on the card, but rather than going over all of them, I would tell you to go watch my video on the new Ballard scale because it is essentially a more in-depth version than what's on this card. Now, complications, the big one is going to be related to respiration. My lungs haven't fully developed, so I'm going to have a hard time adapting to breathing in the real world. Right? So respiratory distress syndrome, bronchopulmonary dysplasia, BPD, those are going to be two really big, important ones. And remember that respiratory problems are the biggest cause of cardiac arrest in children, in pediatric patients. So it's a big deal to not be able to breathe appropriately. I mean, for everyone, but especially for kids. Anemia, necrotizing enterocolitis, hyperbilirubinemia, hypoglycemia, there's videos on all of those. Definitely check them out. And intraventricular hemorrhage.
Now, talking about nursing care of the preterm infant, we have to keep them warm. Right? Babies, universally, really don't do a good job of regulating their own heat. They have poor thermal regulation. But it's even worse when I'm premature. I have even less fat on my body. Right? I have even less of an ability to regulate my own temperature. So we're going to use a radiant warmer or an incubator to maintain the infant's body temperature, and we're going to just really keep an eye on that, make sure they're staying warm. All of the time, we say that the safe ABCs of sleep are alone, on your back, and in a crib. And that is true when you go home with your parents. Right? However, when you're a premature infant being cared for in the NICU, these babies are actually going to be placed side-lying or even prone, so laying on their belly, to improve their oxygenation. I know it seems counterintuitive, but remember that these infants are hooked up to monitoring equipment 24-7 and there are trained and educated nurses at the bedside 24-7, so it is good to position these infants in this manner but would not be okay to do once you go home.
We're going to give them oxygen and ventilatory support. Right? We're going to make sure that they are able to breathe appropriately and keep their oxygen levels as designated per order. And so we're going to monitor oxygen saturation levels. Too much oxygen can be a bad thing. It can lead to things like retinopathy blindness because of too much oxygen. So typically, there will be a prescribed level you want to keep the-- and I'm making this up. I'm not a NICU nurse. But it would say maintain SpO2 levels between 85 and 90 percent or something like that. So you would want to titrate the oxygen to effect, meaning that we would want to adjust the oxygen to keep it in that window. Again, that's going to be per order per facility policy. I'm not a NICU nurse. I just made up that example. So don't come at me if that's wrong. And then synthetic surfactants can be administered as well. Surfactant is that substance that keeps our alveoli open. Right? And the problem with prematurity is my lungs are not mature, so I don't have that surfactant to keep my lungs open. So we can actually give synthetic surfactant to help keep those alveoli open.
Clustering care and minimizing stimulation is going to be very important. So if I need to do a feeding and a diaper change and we've got to check the skin, and maybe we have to start an OG tube, all of that, we're going to try and do it all at once because these itty-bitty babies don't do well with stimulation. They're still supposed to be in the uterus. Right? And there's not a lot of external stimuli in the uterus. So things should be warm and calm and quiet for them. And then they're brought into the world, and they're in this bright, loud, crazy environment. We want to decrease that stimuli. And certainly, we have to take care of them. We have to change their diapers. We have to do these interventions. But if we can cluster that care to minimize the number of times that they are bothered, the better. So I have some friends who are NICU nurses, and they talk about how they will try to coordinate care with when the doctor comes to assess the baby. So the doctor is going to get them all riled up, right, touching them, turn them over, putting stethoscope on their back, all of that. And then they're going to try and do their nursing care immediately after so that then we can get baby calm and soothed and back to being happy. And then we may also have to give enteral feeding, meaning through a feeding tube, or total parenteral nutrition, meaning through the vascular space, to provide nutrition for this infant because they are very likely not going to be able to breastfeed due to prematurity. So we should watch their intake and their output very closely.
Now, on the flip side, let's talk about postmature infants. And postmature infants are those born after 42 weeks. So the expected gestational length is 40 weeks. However, it's okay to go up to 42. There may be some interventions and things like we may implement non-stress tests. Depending on the size of mom, we may encourage induction. But up to 42 weeks is still considered a mature infant. Postmaturity happens after 42 weeks. So risk factors would be maternal obesity or prior prolonged pregnancy. So if you did it once, you're already at risk to do it again. Signs and symptoms, though, I mean, the biggest sign and symptom is going to be that you're past 42 weeks. But let's say we didn't know how far along mom was at the time of delivery, meconium-stained amniotic fluid is going to be a big deal here. That is going to be a big sign and symptom and also a risk for something else we'll talk about in a minute. Long hair and nails of the baby. Hypoglycemia in the baby. Polycythemia, so increased red blood cell levels. Loose, wrinkled, leathery skin. That's going to be one of those as well. Loss of subcutaneous fat. And little to no vernix caseosa. That is not a Harry Potter spell. That is actually the kind of cheesy substance that coats an infant. So vernix would be expected to be found on a mature infant but typically just in the creases. But in a postmature infant, we're going to have almost none. Right?
Complications. Fetal hypoxia is going to be one as well. Meconium aspiration is going to be a huge one, and we'll talk about that more in a moment. LGA, which is large for gestational age, meaning that they are macrosomic. You can watch a video on that as well. And birth trauma. The baby keeps growing. I've got a big baby with a big body and a birth canal that does not change. It doesn't get bigger just because the baby's bigger. So we're at risk for birth trauma. So nursing care, anytime we talk about hypoglycemia or macrosomic infants, we're going to say early and frequent feedings and closely monitoring blood glucose. And then we want to, with all babies but especially postmature infants, we're going to try to prevent heat loss.
Lastly, let's talk about meconium aspiration syndrome. Meconium aspiration syndrome is what it sounds like. It is when the infant has aspirated or inhaled meconium, which is the infant's first stool. Typically, meconium is passed following birth, usually in the first 24 hours of life. However, some infants, especially post-mature infants, can actually have their first stool while in utero. We would see that green-brown stained amniotic fluid. That would be your biggest sign there. But we can also see staining of the nails can happen as well. And when I inhale-- I mean, think about this. I just inhaled amniotic fluid that is tinged with poop, essentially. Right? Now, that's in my lungs. And that's not good for anyone, but it's especially not good for an infant who is trying to adapt to living in the real world. Right? That's going to be really difficult. So they are at risk for a lot of respiratory problems. Right? They can have airway obstruction. They can inactivate their own surfactant. That would be terrible. And they can develop pneumonia as well. And that is really scary and life-threatening for an infant of that age. So if we see green stained amniotic fluid or if we see that the baby has fetal distress or staining of those nails-- excuse me, I meant respiratory distress. We're getting concerned. We're concerned about this, and we're going to investigate. So if I know that we are at risk for meconium aspiration because I saw mum's membranes get ruptured, and the fluid that came out was green stained, I'm thinking we're at risk for meconium aspiration. I'm going to prepare the resources, meaning I'm going to tell respiratory therapy, I'm going to call the NICU, I'm going to make sure that the neonatologist were all aware that this is possible. Right? And then also literally preparing the resources like resuscitative equipment and things like that for deep suctioning. I want to make sure that everything is ready for once this baby comes. But we're not suctioning every baby who might have meconium aspiration. We're only doing it if there is airway obstruction. We can administer oxygen. We can also give synthetic surfactant. And nitric oxide is also a medication frequently used in NICU that can be indicated for a baby with meconium aspiration.
I hope this review was helpful. I'm going to ask you some quiz questions so that you can test your knowledge on some key facts that I provided to you, so be sure to let me know how you do in the comments. So first, I want you to tell me what is a preterm birth? Define preterm birth for me? Secondly, I want you to think which newborn is at higher risk of having experienced a birth injury, a baby born at 29 weeks gestation or one born at 43 weeks gestation? Which one is more likely to sustain birth injury? Lastly, I want you to think, upon seeing green stained amniotic fluid, what complications should the nurse anticipate is possible? Let me know how you did in the comments. Thanks so much and happy studying.
1 comment
Calculated crystals, as found in the file:
┌──
*1*
First-principles (PBE with a Hubbard U) data for a relaxed structure of Ca2V3O8, as listed in the Materials Project.

Cell: 6.066 6.062 10.564 Å, 90.02 90.02 60.04°
Fractional coordinates of all 26 atoms:
Ca  0.334  0.334  0.024
Ca  0.667  0.667  0.524
Ca  0.333  0.334  0.432
Ca  0.668  0.666  0.931
V  0.839  0.327  0.245
V  0.160  0.673  0.746
V  0.327  0.833  0.246
V  0.834  0.839  0.246
V  0.673  0.167  0.745
V  0.167  0.159  0.746
O  0.000  0.000  0.345
O  0.999  0.000  0.845
O  0.667  0.667  0.145
O  0.333  0.333  0.645
O  0.689  0.139  0.155
O  0.860  0.829  0.655
O  0.829  0.311  0.655
O  0.172  0.690  0.154
O  0.138  0.172  0.155
O  0.310  0.860  0.654
O  0.047  0.461  0.849
O  0.538  0.507  0.349
O  0.507  0.955  0.349
O  0.493  0.046  0.849
O  0.461  0.494  0.849
O  0.954  0.539  0.349

Calculated volume: 336.5 Å³/cell

---

*2*
First-principles (PBE with a Hubbard U) data for a relaxed structure of Ca2V3O8, as listed in the Materials Project.

Cell: 6.443 6.443 4.970 Å, 71.64 71.64 57.98°
Fractional coordinates of all 13 atoms:
Ca  0.724  0.724  0.338
Ca  0.276  0.276  0.662
V  0.000  0.000  0.500
V  0.731  0.269  0.000
V  0.269  0.731  0.000
O  0.396  0.396  0.955
O  0.604  0.604  0.045
O  0.901  0.901  0.895
O  0.099  0.099  0.105
O  0.324  0.886  0.612
O  0.886  0.324  0.612
O  0.114  0.676  0.388
O  0.676  0.114  0.388

Calculated volume: 163.2 Å³/cell

---

The most stable of them is *2*.

---

*1*
First-principles (PBE with a Hubbard U) data for a relaxed structure of CaV2O6, as listed in the Materials Project.

Cell: 3.698 5.555 7.267 Å, 102.05 90.00 109.44°
Fractional coordinates of all 9 atoms:
Ca  0.000  0.000  0.000
V  0.241  0.483  0.672
V  0.759  0.517  0.328
O  0.756  0.511  0.603
O  0.244  0.489  0.397
O  0.368  0.736  0.867
O  0.101  0.201  0.741
O  0.632  0.264  0.133
O  0.899  0.799  0.259

Calculated volume: 137.3 Å³/cell

---

*2*
First-principles (PBE with a Hubbard U) data for a relaxed structure of CaV2O6, as listed in the Materials Project.

Cell: 5.446 5.488 7.312 Å, 90.00 90.00 90.00°
Fractional coordinates of all 18 atoms:
Ca  0.520  0.302  0.500
Ca  0.020  0.698  0.000
V  0.040  0.232  0.757
V  0.540  0.768  0.257
V  0.540  0.768  0.743
V  0.040  0.232  0.243
O  0.207  0.966  0.217
O  0.263  0.456  0.778
O  0.707  0.034  0.283
O  0.763  0.544  0.722
O  0.763  0.544  0.278
O  0.707  0.034  0.717
O  0.263  0.456  0.222
O  0.207  0.966  0.783
O  0.039  0.240  0.500
O  0.429  0.739  0.500
O  0.929  0.261  0.000
O  0.539  0.760  0.000

Calculated volume: 218.5 Å³/cell

---

The most stable of them is *1*.

---

*1*
First-principles (PBE with a Hubbard U) data for a relaxed structure of CaW2O5, as listed in the Materials Project.

Cell: 5.896 5.896 11.768 Å, 90.00 90.00 137.66°
Fractional coordinates of all 16 atoms:
Ca  0.100  0.900  0.750
Ca  0.900  0.100  0.250
W  0.794  0.206  0.595
W  0.206  0.794  0.405
W  0.206  0.794  0.095
W  0.794  0.206  0.905
O  0.297  0.703  0.250
O  0.703  0.297  0.750
└──
So much for the calculated crystals:
very well explained!!! I should have known earlier before I started my OB class